Moving Us Closer To Osler
A Miller Coulson Academy of Clinical Excellence Initiative

[Records of molecules, kept here for reference]
No. 1
{"formula": "C4H9NO", "method": "ωB97M-V/def2-TZVPD", "de_lowest_ev": 4.0773, "homo_energy_ha": [-0.3058, -0.3058], "gap_ha": [0.3275, 0.3275], "spin_multiplicity": 1, "symbols": ["O", "N", "C", "C", "C", "C", "H", "H", "H", "H", "H", "H", "H", "H", "H"], "coordinates": [[-2.1042, -0.0364, 0.5769], [-0.1302, -0.0623, -0.5747], [-0.7875, -0.0035, 0.5130], [0.9063, -0.1055, -1.3043], [-2.8760, -0.1430, -0.6190], [2.2995, 0.2193, 1.4638], [-2.6532, 0.6931, -1.2899], [1.3474, 0.8104, -1.6981], [2.5309, 0.2072, 2.5305], [1.3947, -1.0560, -1.5229], [-3.9182, -0.1066, -0.2989], [2.8232, -0.6011, 0.9643], [-2.6674, -1.0929, -1.1217], [1.2185, 0.1065, 1.3541], [2.6160, 1.1708, 1.0269]], "forces_ev_per_a": [[0.086, 0.011, 0.060], [-0.002, 0.010, 0.234], [0.082, -0.023, -0.327], [-0.200, -0.010, 0.067], [-0.130, -0.032, -0.261], [0.067, -0.007, 0.057], [-0.029, -0.121, 0.069], [-0.172, -0.119, 0.012], [0.102, 0.025, -0.120], [-0.195, 0.125, -0.019], [0.136, -0.011, -0.149], [-0.032, 0.120, 0.119], [-0.015, 0.134, 0.039], [0.291, 0.021, 0.118], [0.011, -0.123, 0.100]], "lowdin_charge": [-0.12, -0.02, -0.14, -0.02, -0.08, -0.07, 0.09, 0.08, 0.02, 0.08, 0.09, 0.02, 0.09, -0.04, 0.02]}



No. 2
{"formula": "C4H9NO", "method": "ωB97M-V/def2-TZVPD", "smiles": "CC(=O)N(C)C", "de_lowest_ev": 1.6108, "homo_energy_ha": -0.3329, "gap_ha": 0.3625, "spin_multiplicity": 1, "symbols": ["O", "N", "C", "C", "C", "C", "H", "H", "H", "H", "H", "H", "H", "H", "H"], "coordinates": [[-1.2480, -0.4626, 1.7205], [0.3245, 0.0745, 0.2554], [-0.9703, -0.1945, 0.5759], [-1.9136, -0.1457, -0.5151], [1.3604, 0.2877, 1.2846], [0.9112, 0.0079, -1.0671], [0.2126, 0.4343, -1.7314], [1.7897, 0.6562, -1.1449], [1.8078, 1.2442, 1.4649], [-1.6853, -0.7453, -1.3906], [0.8489, -0.1098, 2.2532], [-1.8088, 0.8379, -1.1311], [1.2143, -1.0723, -1.3129], [-2.9506, -0.4102, -0.1291], [2.1071, -0.4024, 0.8677]], "forces_ev_per_a": [[-1.055, 0.028, 0.978], [1.680, 1.828, 0.083], [2.152, -0.215, 0.464], [-2.416, 1.203, -2.484], [-1.877, -3.439, 1.137], [0.313, -1.089, 0.372], [-0.699, -0.042, -1.352], [-0.051, -0.241, 0.256], [-0.315, 0.924, -0.478], [0.171, -1.053, 0.353], [1.459, 0.654, -1.518], [-0.784, -0.964, 1.737], [-0.450, 1.500, 0.006], [1.324, 0.745, -0.745], [0.547, 0.159, 1.192]], "lowdin_charge": [0.05, -0.18, -0.58, -0.02, -0.04, -0.07, 0.05, 0.09, 0.07, 0.07, 0.12, 0.12, 0.12, 0.12, 0.08]}



No. 3
[Here the text continues]

Awe in The Midst of Medicine


Pausing, reflecting, and savoring moments of awe can balance the frequently overwhelming demands of clinical care.

Quantum chemistry results that have nothing to do with the entry
'''
Below is a structure of composition CH3IO, with properties calculated with ωB97M-V with the def2-TZVPD basis set.

```
6
Properties=species:S:1:pos:R:3:forces:R:3:mulliken_charge:R:1
I -0.261504 -1.123949 1.462591 -0.22 0.41 2.04 -0.03
O -0.913036 0.734726 -1.319970 -3.75 2.02 -0.11 -0.37
C 0.114994 0.340920 -0.954605 2.58 -3.70 -4.15 -0.40
H 0.908628 0.793529 -0.498878 1.67 2.04 2.34 0.41
H -0.400098 -0.193489 2.887478 0.16 -0.90 -1.39 0.12
H 0.551016 -0.551737 -1.576615 -0.44 0.14 1.27 0.27
```
Forces are in eV/Å.

- gap between HOMO and LUMO (eV) = 9.79
- LUMO (eV) = 0.023
- HOMO energy (hartree) = -0.3588
- charge = 0


Below is a structure of composition C50H42GeMnN2P2S2, with properties calculated with ωB97M-V with the def2-TZVPD basis set.

```
100
Properties=species:S:1:pos:R:3:forces:R:3:mulliken_charge:R:1
Ge -1.255194 -0.161022 -2.570687 -0.02 1.08 -0.21 1.69
Mn -0.896526 0.188318 0.491922 -0.77 0.62 -0.31 -0.84
S -1.711301 2.291491 1.040214 -0.47 0.18 0.64 -0.33
S -3.009099 -0.593481 0.556613 -0.72 -0.39 0.11 -0.45
P 2.782983 -0.170908 1.052220 -0.82 -1.89 -0.94 1.55
P -0.060397 -0.481903 2.534312 1.58 -1.26 -0.99 1.63
N -4.706464 3.509220 3.071362 0.81 -0.93 -0.95 -0.67
N -6.457914 0.500076 0.161691 0.87 0.36 0.19 -0.69
C -3.690987 -3.551382 -3.306064 0.83 1.03 1.52 -1.02
C 3.183156 1.479133 -2.608015 0.75 1.76 0.23 -1.29
C 6.887353 -0.248305 0.722669 -0.12 0.77 0.84 -0.82
C 2.591419 0.562223 -3.462602 -1.63 -0.92 -0.02 -0.55
C -2.184844 0.491028 5.800617 0.36 0.71 -0.52 -0.73
C 2.471459 1.603211 4.992783 0.06 -0.95 1.39 -0.68
C -0.289267 -0.917604 -6.695794 0.13 1.02 -0.65 -0.81
C -2.685000 1.178541 -2.532407 -1.93 -0.06 -0.09 0.70
C -0.045057 1.453308 -6.289047 0.16 -0.09 -1.51 -0.96
C 6.209671 0.319250 3.004670 1.52 -0.62 1.05 -1.00
C -4.065967 0.833271 -2.407625 1.59 1.78 -0.71 -0.81
C 5.533075 -0.321303 0.388685 0.01 0.52 0.62 -0.20
C -2.753903 -0.731316 6.063524 -1.70 -1.18 1.12 -0.57
C 7.232349 0.092376 2.045392 -0.43 -0.23 -0.05 -0.49
C -0.039176 0.376003 -7.192051 -0.07 -0.92 0.91 -0.47
C -5.069665 1.798113 -2.522639 -0.66 -1.83 -0.07 -0.46
C -3.435387 3.512271 -2.836299 0.01 -0.51 -0.36 -0.88
C -2.432518 2.523738 -2.765918 0.60 1.46 0.46 -0.06
C 0.778549 -2.150166 2.957278 -1.36 0.10 0.30 -1.45
C 1.160988 0.669668 3.173540 0.44 0.75 1.40 0.96
C -2.868067 -1.751741 5.110023 0.89 0.72 -0.02 -0.76
C -0.817391 -0.029472 -4.528190 0.91 0.48 0.97 0.28
C -0.416613 1.228285 -4.991980 -0.11 0.77 1.03 -0.49
C -1.636478 -2.950926 -1.588370 1.86 -0.69 1.81 0.15
C 0.146911 0.423594 -1.229554 0.07 -1.16 -0.33 -0.30
C 2.572823 0.107513 -0.677575 1.02 1.91 -1.30 -0.55
C -1.503804 0.663004 4.579483 0.11 1.25 1.26 0.04
C 2.496698 -2.026946 1.166175 1.15 0.07 -0.12 -0.40
C 1.799933 -0.454281 -2.920105 1.10 -0.33 -1.56 -0.61
C -4.006787 0.776863 0.955723 1.35 2.00 0.08 0.42
C -2.061444 -1.606899 3.970448 -1.70 -1.56 0.31 -0.16
C -3.325654 -4.488719 -2.326738 0.07 0.03 0.13 -0.54
C -5.370070 0.695617 0.517175 -0.79 -0.53 0.88 -0.01
'''

Passion in the Medical Profession | November 17, 2021 | 3 min read

[Records of molecules that have nothing to do with the page]
# 1
Computed, not measured: the molecule C3H3N3O at a distorted geometry, with ωB97M-V with the def2-TZVPD basis set.

As for the maximum force: 13.95 eV/A. The LUMO energy comes out at 0.272 eV. The calculation puts the HOMO-LUMO gap at 10.231 eV. For the highest occupied orbital energy, the calculation gives -0.36599 hartree. The SMILES is Oc1ncncn1. The net charge is 0.

CARTESIAN COORDINATES (ANGSTROEM)
1 O -2.263 0.380 -0.308
2 C -1.022 -0.057 0.006
3 N -0.150 -0.493 -0.948
4 C 1.137 -0.507 -0.782
5 N 1.680 0.016 0.376
6 C 0.812 0.426 1.062
7 N -0.532 0.330 1.160
8 H -2.535 -0.086 -1.105
9 H 1.716 -0.903 -1.563
10 H 1.157 0.895 2.101

---

# 2
Computed, not measured: a cluster of 2 separate species, CH4BrClOP in total at a distorted geometry, with ωB97M-V with the def2-TZVPD basis set.

As for the maximum force: 5.33 eV/A. The LUMO energy comes out at -6.565 eV. The calculation puts the HOMO-LUMO gap at 8.420 eV. For the highest occupied orbital energy, the calculation gives -0.55068 hartree. The net charge is +1.

CARTESIAN COORDINATES (ANGSTROEM)
1 C -2.177 -0.298 0.241
2 O 1.726 0.271 0.520
3 P -2.155 0.096 1.823
4 Cl -0.637 0.151 2.958
5 Br -4.115 -0.163 2.843
6 H -1.187 -0.459 -0.328
7 H 2.610 0.739 0.348
8 H -2.997 -0.144 -0.318
9 H 1.928 -0.456 1.155

=====

Molecular formula: C11H73FN2O31S
Method: DFT, ωB97M-V/def2-TZVPD

The geometry in XYZ format:
```
119
Properties=species:S:1:pos:R:3:forces:R:3:lowdin_charge:R:1
C -3.537631 -0.146945 1.947924 1.4 0.3 -0.5 -0.10
C -2.622876 -0.098959 0.605882 1.4 0.3 -3.1 -0.16
C -2.992256 0.899760 -0.532761 2.4 -2.1 -0.1 -0.01
C -2.202523 0.998970 -1.891207 1.2 -2.6 2.5 0.01
C -0.989732 0.070677 -2.129177 -0.9 -0.1 3.1 -0.09
C -0.096959 -0.006099 -3.448561 -0.6 -0.1 -0.4 -0.34
C -0.192992 1.276169 -4.407245 0.3 -0.9 -0.5 -0.09
C -0.640982 -1.300434 -4.284327 -0.2 1.2 1.1 -0.10
C -0.585355 -0.914190 -0.965834 -2.9 2.1 0.9 -0.14
O 0.566054 -1.780017 -1.170904 0.3 1.3 0.1 -0.12
C 1.774428 -1.096750 -0.803410 -1.3 2.4 1.7 -0.21
N 3.038219 -1.821013 -1.190969 1.4 1.6 -0.6 -0.22
N 2.881832 -2.610588 -2.350631 0.3 -2.2 -1.7 0.03
S 4.327653 -0.726002 -1.546765 4.3 1.7 3.4 0.83
O 5.667800 -1.393511 -1.633998 -4.5 0.9 -1.1 -0.27
O 4.403867 0.342467 -0.480420 -1.7 -2.4 -3.1 -0.32
F 4.064909 0.083196 -3.023234 0.0 -1.6 2.4 -0.20
C -1.362372 -1.017714 0.374881 -1.1 2.3 -2.7 0.06
H -2.951782 0.370325 2.783987 -0.9 -1.0 -1.4 0.04
H -3.749689 -1.206578 2.311803 0.2 1.4 -0.8 0.08
H -4.491997 0.467029 1.792389 1.3 -1.0 0.1 0.07
H -3.891451 1.577939 -0.329783 1.5 -1.0 -0.6 0.07
H -2.518567 1.724858 -2.727122 0.5 -1.3 1.7 0.10
H 1.010771 -0.136450 -3.169695 -1.7 0.0 -0.3 0.11
H 0.435006 2.159516 -4.055458 -1.2 -1.0 -0.2 0.08
H -1.290449 1.513922 -4.604344 1.5 0.0 0.3 0.08
H 0.255544 0.953527 -5.425575 -0.7 0.5 1.6 0.08
H -0.282018 -1.271146 -5.369112 -0.5 -0.2 1.7 0.08
H -1.792494 -1.214981 -4.229692 1.9 -0.3 -0.4 0.10
H -0.339584 -2.240154 -3.713175 -0.3 1.2 -1.0 0.07

 By Mary Yaden, MD, and David Yaden, PhD, Johns Hopkins Medicine


“Dwell on the beauty of life. Watch the stars and see yourself running with them.”―Marcus Aurelius, “Meditations 


Spending countless hours in the hospital doesn’t leave a lot of time for stargazing. The overpowering iridescence of the hallways and intrusive flashing of monitors couldn’t be further from the natural beauty of the night sky, or a scenic moment usually associated with beauty or awe. However, research is identifying alternatives for experiencing awe even within the confines of the hospital. 


Awe is defined as a response to being confronted with enormity, either literal, like the view from a mountaintop, and/or figurative, like a mind-blowing TED talk. Awe is a complex emotion; it’s largely positive but can also feel somewhat overwhelming. Experiencing awe has been shown to increase feelings of well-being and social connectedness, as well as enhancing altruistic behavior. This means that awe not only helps us feel good but also to do good in the world. 


Recent research shows that awe is often accessed in response to other people, especially by witnessing acts of great excellence or virtue–called “interpersonal awe.” On reflection, I, Dr. Mary Yaden, can recall countless moments of interpersonal awe in medical practice. While in training, I helped with a multi-hour liver transplant. As the donor organ was secured within my patient and the exquisite suturing of the vessels concluded, the operating room stopped. The surgeon took a moment before calling out “anastomosis” and relieving the clamps that kept the waiting circulation at bay. I felt tears when I watched the grey cast of the liver transform into a healthy, pulsing, living pink. I don’t know exactly whether it was the hours on my feet, the medical prowess of the clinical team, or the recognition that this patient’s life was transformed in a moment, but I was awash in profundity and joy. I felt tiny compared to the enormous implications of a procedure where a life was changed and in which I had the honor to play some small role. 


Moments like this, while fleeting, can offer pathways for awe despite the frequently 0verwhelming demands of clinical work. It may be possible to take more notice of these moments of interpersonal awe. Here are a few guidelines that may help you to capture more awe in your clinical practice: 


1. Pause

While awe can come on unexpectedly, we must be paying attention to capture it. Practice brief moments of mindfulness throughout the day to ground in the moment. 


2. Zoom out

Consider the enormity of some everyday actions. A patient’s hospital admission may be a defining moment in their life journey and seeing ourselves as a player in such an important time creates meaning. 


3. Reflect

Ask yourself, “Is there something big at this moment that I’m missing? Am I seeing something that reflects a secret beauty or reality of being alive?” 


4. Savor

Lean into the emotion. Notice how it makes you feel about your work and other people. 


While there may be no constellations for charting in the hospital, there are certainly moments that leave us moved and breathless. Practicing awe allows us to not only engage with our world differently but also appreciate the big and small moments of beauty in the hospital. 


Finally, if a few moments of interpersonal awe from your own clinical work came to mind, you can record them and take a standardized awe measure here.






This piece expresses the views solely of the author. It does not necessarily represent the views of any organization, including Johns Hopkins Medicine.